Could you find "2.1289 -0.7737" and "-0.9534 0.8817" in the rows below, and copy these two lines and those between?

Density functional theory data (ωB97M-V/def2-TZVPD) for a 2-piece molecular cluster, C12H27FN6OP overall.

```
48
Properties=species:S:1:pos:R:3:mulliken_charge:R:1
N -0.4776 4.6811 4.4740 -0.5522
C -1.0683 3.9113 3.4875 0.3883
N -2.3421 3.5577 3.6196 0.3574
N -3.0652 2.8425 2.7710 -0.8239
C -2.4255 2.4303 1.7234 -0.3847
C -1.0730 2.7186 1.4305 -0.3077
C -0.3766 3.4851 2.3257 0.5695
C 1.0564 3.9098 2.1289 -0.7737
C 1.9773 2.8602 1.5430 -0.4006
F 1.6779 2.5811 0.2255 -0.2763
H -1.0293 4.6095 5.3259 0.2902
H 0.4103 4.2535 4.7228 0.2884
H -2.8371 3.8783 4.4434 0.2254
H -2.9676 1.8290 1.0101 0.4991
H -0.6325 2.3553 0.5155 0.4902
H 1.4797 4.3271 3.0341 0.4365
H 1.0118 4.7381 1.4158 0.3066
H 2.9867 3.2655 1.5304 0.3527
H 1.9602 1.9460 2.1356 0.3175
O -0.4976 -0.8474 -0.0451 -0.9287
P 0.0074 -1.4854 -1.3392 0.6164
N -1.0883 -2.8117 -1.4706 0.2001
C -1.1380 -3.8247 -0.4274 -0.9468
C -2.4308 -2.3646 -1.8132 -1.1232
N 1.5729 -1.8934 -0.7795 0.3227
C 2.1069 -3.2343 -0.6937 -1.0886
C 2.0990 -1.0525 0.2829 -0.8239
N 0.5920 -1.6737 -3.0161 0.1057
C 0.5439 -0.4173 -3.7834 -0.9939
C 0.2134 -2.7826 -3.8814 -0.9213
H -1.8361 -4.6095 -0.7249 0.3846
H -1.4540 -3.4265 0.5445 0.2533
H -0.1756 -4.3166 -0.3080 0.2550
H -2.4025 -1.7184 -2.6991 0.3023
H -2.8980 -1.7972 -0.9981 0.2891
H -3.0660 -3.2164 -2.0586 0.3688
H 1.7878 -3.7400 0.2261 0.3960
H 3.1994 -3.2032 -0.6928 0.3508
H 1.8239 -3.8460 -1.5501 0.2424
H 1.7209 -1.3441 1.2739 0.2664
H 1.8272 -0.0142 0.1096 0.0944
H 3.1907 -1.0934 0.3073 0.4250
H -0.4799 -0.1384 -4.0559 0.3219
H 1.1345 -0.4986 -4.6959 0.3702
H 0.9699 0.3987 -3.1896 0.2921
H -0.8134 -2.7154 -4.2583 0.3077
H 0.3346 -3.7399 -3.3861 0.2650
H 0.8903 -2.7733 -4.7400 0.3942
```

Results
Total charge: +1

Density functional theory data (ωB97M-V/def2-TZVPD) for C12H27N2O6S2 as an isolated structure.

```
49
Properties=species:S:1:pos:R:3:mulliken_charge:R:1
C -2.8057 -2.9640 1.6576 -0.9364
C -1.5817 -3.4764 0.7201 -0.4266
S -0.0351 -3.0228 1.6144 1.1174
O -0.1450 -3.6768 2.9854 -0.7572
O -0.0602 -1.5336 1.8442 -0.6041
N 1.3924 -3.6309 0.9155 -0.6358
S 1.6970 -2.9353 -0.6031 1.1480
O 2.3063 -4.0325 -1.4664 -0.7523
O 0.4861 -2.4184 -1.3417 -0.6892
C 2.9847 -1.5984 -0.5576 -0.7169
C 2.5222 -0.3045 0.2488 0.1644
C 2.9919 1.0757 -0.4186 -0.7622
C 2.5001 1.2458 -1.9243 -0.6860
N 1.0476 0.9213 -2.0417 0.1660
C 0.5493 1.1701 -3.4223 0.4115
C 1.2471 0.3785 -4.6114 -0.8333
O -0.4001 1.9578 -3.5356 -0.5793
H -2.5539 -1.9864 2.1881 0.2210
H -3.1066 -3.7838 2.3756 0.2905
H -3.6556 -2.7067 0.9346 0.3105
H -1.7260 -4.5847 0.5460 0.3946
H -1.7224 -2.9161 -0.2685 0.2599
H 3.9002 -2.0755 -0.0604 0.3979
H 3.2637 -1.3703 -1.6350 0.2145
H 3.0136 -0.3542 1.2750 0.3904
H 1.3799 -0.2330 0.3174 -0.2894
H 4.1023 1.2864 -0.3226 0.3293
H 2.4603 1.8976 0.1840 0.2828
H 2.6330 2.3334 -2.2678 0.3893
H 3.1465 0.5897 -2.5929 0.3515
H 0.9752 -0.1119 -1.9396 0.0348
H 0.4327 -0.1648 -5.1939 0.3123
H 1.8088 1.1392 -5.2381 0.2738
H 1.9603 -0.4071 -4.1792 0.2360
C -3.1370 3.0985 3.0825 -0.9753
C -2.4150 3.6716 1.8742 -0.3335
O -1.0844 3.2035 1.7339 -0.4643
C -0.9251 1.7963 1.5759 -0.0678
C -1.6304 1.2391 0.3525 -0.7678
H -2.5863 3.3264 4.0003 0.2684
H -4.1426 3.5204 3.1611 0.3889
H -3.2343 2.0134 3.0222 0.2345
H -2.3519 4.7573 1.9842 0.3490
H -2.9803 3.4874 0.9548 0.3074
H -1.2433 1.2761 2.4850 0.2579
H 0.1483 1.6142 1.4779 0.0163
H -2.7122 1.3869 0.4006 0.3382
H -1.4420 0.1666 0.2624 0.1359
H -1.2723 1.7348 -0.5537 0.2847
```

Results
Energy relative to the best compared isomer or geometry (same formula, charge and spin) in kcal/mol: 43.7
Total charge: -1

Density functional theory data (ωB97M-V/def2-TZVPD) for C12H27N4O3Sr as an isolated structure.

```
47
Properties=species:S:1:pos:R:3:mulliken_charge:R:1
Sr -1.5588 0.4064 0.4240 2.3360
C -0.4979 -2.8938 -3.0125 -0.9643
N 0.3818 -2.7772 -1.8377 0.0679
C 1.5292 -3.7038 -1.8027 -0.8617
C 0.2085 -1.8295 -0.9534 0.8817
O -0.7038 -0.9498 -1.0468 -1.0808
C 1.1513 -1.7654 0.2408 -1.1433
O 0.7420 -0.7226 1.1305 -0.4371

C 1.0564 3.9098 2.1289 -0.7737
C 1.9773 2.8602 1.5430 -0.4006
F 1.6779 2.5811 0.2255 -0.2763
H -1.0293 4.6095 5.3259 0.2902
H 0.4103 4.2535 4.7228 0.2884
H -2.8371 3.8783 4.4434 0.2254
H -2.9676 1.8290 1.0101 0.4991
H -0.6325 2.3553 0.5155 0.4902
H 1.4797 4.3271 3.0341 0.4365
H 1.0118 4.7381 1.4158 0.3066
H 2.9867 3.2655 1.5304 0.3527
H 1.9602 1.9460 2.1356 0.3175
O -0.4976 -0.8474 -0.0451 -0.9287
P 0.0074 -1.4854 -1.3392 0.6164
N -1.0883 -2.8117 -1.4706 0.2001
C -1.1380 -3.8247 -0.4274 -0.9468
C -2.4308 -2.3646 -1.8132 -1.1232
N 1.5729 -1.8934 -0.7795 0.3227
C 2.1069 -3.2343 -0.6937 -1.0886
C 2.0990 -1.0525 0.2829 -0.8239
N 0.5920 -1.6737 -3.0161 0.1057
C 0.5439 -0.4173 -3.7834 -0.9939
C 0.2134 -2.7826 -3.8814 -0.9213
H -1.8361 -4.6095 -0.7249 0.3846
H -1.4540 -3.4265 0.5445 0.2533
H -0.1756 -4.3166 -0.3080 0.2550
H -2.4025 -1.7184 -2.6991 0.3023
H -2.8980 -1.7972 -0.9981 0.2891
H -3.0660 -3.2164 -2.0586 0.3688
H 1.7878 -3.7400 0.2261 0.3960
H 3.1994 -3.2032 -0.6928 0.3508
H 1.8239 -3.8460 -1.5501 0.2424
H 1.7209 -1.3441 1.2739 0.2664
H 1.8272 -0.0142 0.1096 0.0944
H 3.1907 -1.0934 0.3073 0.4250
H -0.4799 -0.1384 -4.0559 0.3219
H 1.1345 -0.4986 -4.6959 0.3702
H 0.9699 0.3987 -3.1896 0.2921
H -0.8134 -2.7154 -4.2583 0.3077
H 0.3346 -3.7399 -3.3861 0.2650
H 0.8903 -2.7733 -4.7400 0.3942
```

Results
Total charge: +1

Density functional theory data (ωB97M-V/def2-TZVPD) for C12H27N2O6S2 as an isolated structure.

```
49
Properties=species:S:1:pos:R:3:mulliken_charge:R:1
C -2.8057 -2.9640 1.6576 -0.9364
C -1.5817 -3.4764 0.7201 -0.4266
S -0.0351 -3.0228 1.6144 1.1174
O -0.1450 -3.6768 2.9854 -0.7572
O -0.0602 -1.5336 1.8442 -0.6041
N 1.3924 -3.6309 0.9155 -0.6358
S 1.6970 -2.9353 -0.6031 1.1480
O 2.3063 -4.0325 -1.4664 -0.7523
O 0.4861 -2.4184 -1.3417 -0.6892
C 2.9847 -1.5984 -0.5576 -0.7169
C 2.5222 -0.3045 0.2488 0.1644
C 2.9919 1.0757 -0.4186 -0.7622
C 2.5001 1.2458 -1.9243 -0.6860
N 1.0476 0.9213 -2.0417 0.1660
C 0.5493 1.1701 -3.4223 0.4115
C 1.2471 0.3785 -4.6114 -0.8333
O -0.4001 1.9578 -3.5356 -0.5793
H -2.5539 -1.9864 2.1881 0.2210
H -3.1066 -3.7838 2.3756 0.2905
H -3.6556 -2.7067 0.9346 0.3105
H -1.7260 -4.5847 0.5460 0.3946
H -1.7224 -2.9161 -0.2685 0.2599
H 3.9002 -2.0755 -0.0604 0.3979
H 3.2637 -1.3703 -1.6350 0.2145
H 3.0136 -0.3542 1.2750 0.3904
H 1.3799 -0.2330 0.3174 -0.2894
H 4.1023 1.2864 -0.3226 0.3293
H 2.4603 1.8976 0.1840 0.2828
H 2.6330 2.3334 -2.2678 0.3893
H 3.1465 0.5897 -2.5929 0.3515
H 0.9752 -0.1119 -1.9396 0.0348
H 0.4327 -0.1648 -5.1939 0.3123
H 1.8088 1.1392 -5.2381 0.2738
H 1.9603 -0.4071 -4.1792 0.2360
C -3.1370 3.0985 3.0825 -0.9753
C -2.4150 3.6716 1.8742 -0.3335
O -1.0844 3.2035 1.7339 -0.4643
C -0.9251 1.7963 1.5759 -0.0678
C -1.6304 1.2391 0.3525 -0.7678
H -2.5863 3.3264 4.0003 0.2684
H -4.1426 3.5204 3.1611 0.3889
H -3.2343 2.0134 3.0222 0.2345
H -2.3519 4.7573 1.9842 0.3490
H -2.9803 3.4874 0.9548 0.3074
H -1.2433 1.2761 2.4850 0.2579
H 0.1483 1.6142 1.4779 0.0163
H -2.7122 1.3869 0.4006 0.3382
H -1.4420 0.1666 0.2624 0.1359
H -1.2723 1.7348 -0.5537 0.2847
```

Results
Energy relative to the best compared isomer or geometry (same formula, charge and spin) in kcal/mol: 43.7
Total charge: -1

Density functional theory data (ωB97M-V/def2-TZVPD) for C12H27N4O3Sr as an isolated structure.

```
47
Properties=species:S:1:pos:R:3:mulliken_charge:R:1
Sr -1.5588 0.4064 0.4240 2.3360
C -0.4979 -2.8938 -3.0125 -0.9643
N 0.3818 -2.7772 -1.8377 0.0679
C 1.5292 -3.7038 -1.8027 -0.8617
C 0.2085 -1.8295 -0.9534 0.8817